Work order:
Could you copy only the last part of the entries underneath, starting with the line that has "-1.34811"?
Source:
********
Record 1
ORCA calculation (ωB97M-V/def2-TZVPD) on the molecule C20H19FN6O2 in a non-equilibrium geometry.

Results
E_tot: -36798.2081 eV
HOMO energy: -8.258 eV
Gap between HOMO and LUMO: 8.83 eV
Strongest force on any atom: 5.55 eV/A
ΔE to the lowest compared entry with this formula, charge and spin: 509.4 kJ/mol
LUMO level: 0.570 eV

Last column: Mulliken charge in e.
Geometry (Å):
C1 -0.22123 4.72054 0.93636  -0.706
O1 -1.46584 4.08040 1.00699  -0.412
C2 -1.75987 2.96497 0.16381  0.532
C3 -2.94280 2.18463 0.36026  -0.526
C4 -3.25875 1.09083 -0.39512  -0.758
C5 -2.34285 0.69658 -1.34811  -0.158
C6 -1.17098 1.51612 -1.62007  0.081
C7 -0.14843 1.08266 -2.56587  0.476
C8 -0.17162 1.53187 -3.94217  -0.700
C9 1.05213 1.29444 -4.70661  0.304
F1 1.11129 1.90796 -5.91086  -0.306
C10 2.17389 0.51860 -4.26709  -0.750
C11 2.13781 0.09263 -2.87768  -0.504
C12 0.98053 0.30834 -2.07421  -0.527
C13 0.85701 -0.31403 -0.66795  0.327
C14 0.12560 -1.71416 -0.85475  -0.743
C15 -0.26163 -2.18652 0.46392  0.247
N1 -1.53358 -2.59694 0.76385  -0.672
C16 -1.73444 -3.08386 1.99186  0.287
N2 -2.84684 -3.65265 2.31103  -0.436
N3 -0.89305 -2.80794 2.96833  -0.628
C17 0.34601 -2.31948 2.76112  0.611
C18 1.04315 -1.89915 4.04428  -1.730
C19 0.71085 -2.05888 1.44578  0.706
C20 1.98056 -1.42231 1.08903  0.270
N4 3.12720 -1.67322 1.75139  0.002
O2 4.30508 -1.04075 1.33916  -0.467
N5 2.09329 -0.59662 -0.00983  -0.801
N6 -0.93800 2.58814 -0.80390  -0.365
H1 -0.07009 5.13955 1.89771  0.311
H2 0.60670 4.07107 0.77245  0.303
H3 -0.22785 5.63780 0.35673  0.266
H4 -3.43833 2.50110 1.21120  0.521
H5 -4.13509 0.53364 -0.22589  0.516
H6 -2.52261 -0.19400 -1.88006  0.534
H7 -0.98755 2.15397 -4.26167  0.496
H8 2.98856 0.32795 -4.90471  0.479
H9 3.02539 -0.49141 -2.52757  0.305
H10 0.23910 0.27829 0.05877  0.364
H11 -0.78215 -1.65640 -1.51398  0.330
H12 0.70255 -2.45919 -1.32743  0.516
H13 -3.19594 -3.48669 3.25504  0.274
H14 -3.49638 -3.49448 1.58155  0.265
H15 1.84955 -2.57964 4.35858  0.326
H16 1.47291 -0.89453 3.88074  0.498
H17 0.35465 -1.83503 4.83650  0.396
H18 3.06854 -1.80824 2.74375  0.244
H19 4.19350 -0.95596 0.33537  0.398

---

Record 2
ORCA calculation (ωB97M-V/def2-TZVPD) on C20H19N2NiO7P as an isolated structure.

Results
E_tot: -88698.6193 eV
HOMO energy (spin up / spin down): -8.983 / -9.112 eV
Gap between HOMO and LUMO (spin up / spin down): 8.41 / 8.55 eV
Multiplicity: 3
Strongest force on any atom: 0.70 eV/A
ΔE to the lowest compared entry with this formula, charge and spin: 0.0 kJ/mol
LUMO level (spin up / spin down): -0.572 / -0.557 eV

Last column: Mulliken charge in e.
Geometry (Å):
Ni1 0.38269 -0.28110 -0.32757  0.685
O1 -2.91219 -0.72757 -3.18132  -0.475
C1 -1.98857 -0.68797 -2.22872  0.144
O2 -0.81813 -0.46480 -2.44798  -0.533
C2 -2.49363 -0.99914 -0.86218  0.422
C3 -3.74533 -1.49287 -0.54872  -0.619
C4 -3.99775 -1.81669 0.78128  -0.436
C5 -3.00567 -1.65422 1.73287  -0.609
C6 -1.78990 -1.10908 1.33807  0.517
N1 -1.57488 -0.77768 0.07601  0.615
C7 -0.56766 -0.85734 2.25144  -0.043
O3 -0.54117 -1.41637 3.33927  -0.734
O4 0.29898 -0.09153 1.72305  -0.535
H1 -2.49594 -0.53601 -4.03206  0.385
H2 -4.48326 -1.63691 -1.32503  0.573
H3 -4.96589 -2.21103 1.06079  0.433
H4 -3.14955 -1.93971 2.76528  0.562
O5 4.04347 1.13965 -1.15743  -0.728
C8 2.85633 0.90977 -0.99380  0.231
O6 2.28844 -0.23135 -0.90584  -0.547
C9 1.89642 2.09895 -0.87803  0.780
C10 2.38866 3.40152 -1.07939  -0.829
C11 1.51807 4.44759 -1.03721  -0.640
C12 0.15302 4.20063 -0.76709  0.878
C13 -0.80869 5.23462 -0.71188  -0.872
C14 -2.11559 4.95548 -0.43026  -0.517
C15 -2.51196 3.62780 -0.17535  -0.822
C16 -1.60556 2.60656 -0.22619  -0.142
C17 -0.25314 2.86196 -0.54049  -0.025
N2 0.63644 1.83284 -0.61827  0.208
H5 3.44646 3.51080 -1.26903  0.558
H6 1.84565 5.46700 -1.20304  0.418
H7 -0.48467 6.25367 -0.88606  0.379
H8 -2.84938 5.74971 -0.39254  0.390
H9 -3.54457 3.42074 0.07550  0.441
H10 -1.89175 1.58998 -0.00296  0.418
C18 1.49536 -4.46227 1.50224  -1.261
P1 1.91831 -2.90471 0.67616  1.401
********
Done:
C5 -2.34285 0.69658 -1.34811  -0.158
C6 -1.17098 1.51612 -1.62007  0.081
C7 -0.14843 1.08266 -2.56587  0.476
C8 -0.17162 1.53187 -3.94217  -0.700
C9 1.05213 1.29444 -4.70661  0.304
F1 1.11129 1.90796 -5.91086  -0.306
C10 2.17389 0.51860 -4.26709  -0.750
C11 2.13781 0.09263 -2.87768  -0.504
C12 0.98053 0.30834 -2.07421  -0.527
C13 0.85701 -0.31403 -0.66795  0.327
C14 0.12560 -1.71416 -0.85475  -0.743
C15 -0.26163 -2.18652 0.46392  0.247
N1 -1.53358 -2.59694 0.76385  -0.672
C16 -1.73444 -3.08386 1.99186  0.287
N2 -2.84684 -3.65265 2.31103  -0.436
N3 -0.89305 -2.80794 2.96833  -0.628
C17 0.34601 -2.31948 2.76112  0.611
C18 1.04315 -1.89915 4.04428  -1.730
C19 0.71085 -2.05888 1.44578  0.706
C20 1.98056 -1.42231 1.08903  0.270
N4 3.12720 -1.67322 1.75139  0.002
O2 4.30508 -1.04075 1.33916  -0.467
N5 2.09329 -0.59662 -0.00983  -0.801
N6 -0.93800 2.58814 -0.80390  -0.365
H1 -0.07009 5.13955 1.89771  0.311
H2 0.60670 4.07107 0.77245  0.303
H3 -0.22785 5.63780 0.35673  0.266
H4 -3.43833 2.50110 1.21120  0.521
H5 -4.13509 0.53364 -0.22589  0.516
H6 -2.52261 -0.19400 -1.88006  0.534
H7 -0.98755 2.15397 -4.26167  0.496
H8 2.98856 0.32795 -4.90471  0.479
H9 3.02539 -0.49141 -2.52757  0.305
H10 0.23910 0.27829 0.05877  0.364
H11 -0.78215 -1.65640 -1.51398  0.330
H12 0.70255 -2.45919 -1.32743  0.516
H13 -3.19594 -3.48669 3.25504  0.274
H14 -3.49638 -3.49448 1.58155  0.265
H15 1.84955 -2.57964 4.35858  0.326
H16 1.47291 -0.89453 3.88074  0.498
H17 0.35465 -1.83503 4.83650  0.396
H18 3.06854 -1.80824 2.74375  0.244
H19 4.19350 -0.95596 0.33537  0.398

---

Record 2
ORCA calculation (ωB97M-V/def2-TZVPD) on C20H19N2NiO7P as an isolated structure.

Results
E_tot: -88698.6193 eV
HOMO energy (spin up / spin down): -8.983 / -9.112 eV
Gap between HOMO and LUMO (spin up / spin down): 8.41 / 8.55 eV
Multiplicity: 3
Strongest force on any atom: 0.70 eV/A
ΔE to the lowest compared entry with this formula, charge and spin: 0.0 kJ/mol
LUMO level (spin up / spin down): -0.572 / -0.557 eV

Last column: Mulliken charge in e.
Geometry (Å):
Ni1 0.38269 -0.28110 -0.32757  0.685
O1 -2.91219 -0.72757 -3.18132  -0.475
C1 -1.98857 -0.68797 -2.22872  0.144
O2 -0.81813 -0.46480 -2.44798  -0.533
C2 -2.49363 -0.99914 -0.86218  0.422
C3 -3.74533 -1.49287 -0.54872  -0.619
C4 -3.99775 -1.81669 0.78128  -0.436
C5 -3.00567 -1.65422 1.73287  -0.609
C6 -1.78990 -1.10908 1.33807  0.517
N1 -1.57488 -0.77768 0.07601  0.615
C7 -0.56766 -0.85734 2.25144  -0.043
O3 -0.54117 -1.41637 3.33927  -0.734
O4 0.29898 -0.09153 1.72305  -0.535
H1 -2.49594 -0.53601 -4.03206  0.385
H2 -4.48326 -1.63691 -1.32503  0.573
H3 -4.96589 -2.21103 1.06079  0.433
H4 -3.14955 -1.93971 2.76528  0.562
O5 4.04347 1.13965 -1.15743  -0.728
C8 2.85633 0.90977 -0.99380  0.231
O6 2.28844 -0.23135 -0.90584  -0.547
C9 1.89642 2.09895 -0.87803  0.780
C10 2.38866 3.40152 -1.07939  -0.829
C11 1.51807 4.44759 -1.03721  -0.640
C12 0.15302 4.20063 -0.76709  0.878
C13 -0.80869 5.23462 -0.71188  -0.872
C14 -2.11559 4.95548 -0.43026  -0.517
C15 -2.51196 3.62780 -0.17535  -0.822
C16 -1.60556 2.60656 -0.22619  -0.142
C17 -0.25314 2.86196 -0.54049  -0.025
N2 0.63644 1.83284 -0.61827  0.208
H5 3.44646 3.51080 -1.26903  0.558
H6 1.84565 5.46700 -1.20304  0.418
H7 -0.48467 6.25367 -0.88606  0.379
H8 -2.84938 5.74971 -0.39254  0.390
H9 -3.54457 3.42074 0.07550  0.441
H10 -1.89175 1.58998 -0.00296  0.418
C18 1.49536 -4.46227 1.50224  -1.261
P1 1.91831 -2.90471 0.67616  1.401